October 18, 2017
It's a question businesses of all sizes wonder at one point or another: Are customers more annoyed than enthused by social media posts?
It's a thought two researchers at Temple University's Fox School of Business, Dr. Paul A. Pavlou and Ph.D. candidate Shuting Wang, sought to tackle in a new study.
In it, they follow the five-month WeChat activity of a Chinese fashion brand, analyzing conversions and unfollows connected to social media posts distributed at random times. At-large, it found short-term sales were generally boosted by 5 percent, but came at a hefty cost: a 300-percent propensity to unfollow the firm--possibly proving detrimental to long-term sales growth.
Between two parts of the entry: crystal structures
/*
1.
Diffraction record for LiTbAu4. The powder X-ray diffraction pattern is computed, not measured: it uses a structure optimized by DFT (GGA-PBE) and Cu Kα (λ = 1.5418 Å).

Cell and atoms:
```
LiTbAu4
1.0
2.5919 -4.4572 0.0000
2.5919 4.4572 0.0000
0.0000 0.0000 5.1249
Li Tb Au
1 1 4
Direct
0.0000 0.0000 0.0000
0.5000 0.5000 0.5000
0.1623 0.8377 0.5000
0.3289 0.6711 0.0000
0.6711 0.3289 0.0000
0.8377 0.1623 0.5000
```

Peak list (12 most intense, 10 to 90 degrees two-theta, sorted by position)
| 2theta | d (Å) | intensity |
| --- | --- | --- |
| 19.92 | 4.457 | 78 |
| 26.44 | 3.371 | 219 |
| 34.61 | 2.592 | 350 |
| 35.02 | 2.562 | 339 |
| 39.11 | 2.303 | 1000 |
| 50.06 | 1.822 | 250 |
| 65.04 | 1.434 | 228 |
| 65.55 | 1.424 | 223 |
| 73.47 | 1.289 | 79 |
| 73.71 | 1.285 | 79 |
| 84.06 | 1.151 | 115 |
| 86.56 | 1.124 | 110 |



2.
Diffraction record for Li7Tb3Au4. The powder X-ray diffraction pattern is computed, not measured: it uses a structure optimized by DFT (GGA-PBE) and Cu Kα (λ = 1.5418 Å).

Cell and atoms:
```
Li7Tb3Au4
1.0
7.8551 -2.0850 0.0000
7.8551 2.0850 0.0000
-5.9134 0.0000 8.5688
Li Tb Au
7 3 4
Direct
0.0000 0.0000 0.0000
0.1673 0.1673 0.9336
0.3254 0.3254 0.4956
0.4797 0.4797 0.1827
0.5203 0.5203 0.8173
0.6746 0.6746 0.5044
0.8327 0.8327 0.0664
0.0000 0.0000 0.5000
0.2973 0.2973 0.7737
0.7027 0.7027 0.2263
0.1047 0.1047 0.3160
0.3460 0.3460 0.2533
0.6540 0.6540 0.7467
0.8953 0.8953 0.6840
```

Peak list (12 most intense, 10 to 90 degrees two-theta, sorted by position)
| 2theta | d (Å) | intensity |
| --- | --- | --- |
| 10.32 | 8.569 | 533 |
| 20.73 | 4.284 | 1000 |
| 26.34 | 3.383 | 506 |
| 27.37 | 3.258 | 482 |
| 27.54 | 3.238 | 402 |
| 28.83 | 3.096 | 443 |
| 29.81 | 2.997 | 526 |
| 33.73 | 2.657 | 582 |
| 35.42 | 2.534 | 431 |
| 35.80 | 2.508 | 586 |
| 41.01 | 2.201 | 816 |
| 43.40 | 2.085 | 411 |



3.
Diffraction record for Li4TcAu. The powder X-ray diffraction pattern is computed, not measured: it uses a structure optimized by DFT (GGA-PBE) and Cu Kα (λ = 1.5418 Å).

Cell and atoms:
```
Li4TcAu
1.0
0.0000 3.4738 3.4738
3.4738 0.0000 3.4738
3.4738 3.4738 0.0000
Li Tc Au
4 1 1
Direct
0.1250 0.1250 0.1250
0.1250 0.1250 0.6250
0.1250 0.6250 0.1250
0.6250 0.1250 0.1250
0.7500 0.7500 0.7500
0.5000 0.5000 0.5000
```

Peak list (12 most intense, 10 to 90 degrees two-theta, sorted by position)
| 2theta | d (Å) | intensity |
| --- | --- | --- |
| 22.16 | 4.011 | 1000 |
| 25.64 | 3.474 | 106 |
| 36.58 | 2.456 | 843 |
| 43.19 | 2.095 | 641 |
| 52.70 | 1.737 | 128 |
| 57.85 | 1.594 | 228 |
| 59.50 | 1.554 | 47 |
| 65.86 | 1.418 | 303 |
| 70.42 | 1.337 | 202 |
| 77.76 | 1.228 | 108 |
| 82.06 | 1.174 | 174 |
| 89.14 | 1.098 | 142 |



4.
Diffraction record for LiTeAu. The powder X-ray diffraction pattern is computed, not measured: it uses a structure optimized by DFT (GGA-PBE) and Cu Kα (λ = 1.5418 Å).

Cell and atoms:
```
LiTeAu
1.0
4.6283 0.0000 0.0000
-2.3141 4.0082 0.0000
0.0000 0.0000 4.5488
Li Te Au
1 1 1
Direct
*/
We reached out to Pavlou, senior associate dean of the school's research office, to talk more about the study and its findings.
Are we actually losing followers--and business--when we post too much on Facebook, Twitter or similar social media channels?
Based on our results, advertising messages are likely to trigger consumers to unfollow, or unsubscribe, because of the annoyance of these advertising messages that may turn off consumers. Nonetheless, the specific nature of the [Facebook or Twitter] advertising posts may determine whether consumers find them annoying [enough] to unfollow the firm.
What are one or two of the biggest reasons why the unfollow happens?
The main reason is the annoyance of recurrent advertising messages that may be considered intrusive to some consumers. Moreover, targeted or personalized advertising messages may be viewed as intrusive to people’s privacy, thus also eliciting unfollowing.
How do you see this study of WeChat in China parallelling with marketing here in the States with media sites like Facebook and Twitter?
WeChat is one of the largest social media platforms in China and the world. Certainly, there are differences among platforms, but the notion of advertising posts are very similar across platforms. Accordingly, it is possible that repeated advertising messages would have similar effects on consumers across different platforms, albeit the specific nature of the advertising messages would likely have a different effect on consumers and platforms.
What is the significance of people unfollowing during high-traffic times and in crowded cities? Also, can you clarify whether this is traffic as in web traffic or literal traffic?
First, this is literal traffic during evening traffic peak hours--5 p.m. to 8 p.m. The significance of people unfollowing during traffic peak hours and in crowded cities is that people are more likely to be annoyed during these circumstances and are more likely to unfollow firms when they send them advertising messages. Accordingly, firms should avoid sending advertising messages during traffic peak hours in general and send fewer advertising messages to consumers in more crowded cities.
Should they send fewer messages to those in crowded cities because of the traffic, or is there another season?
Both the traffic hours and the crowdedness of the city play a role, and both of them accentuate the negative effect of advertising messages on unfollowing and long-term reduction in sales. Both contribute to the annoyance that these advertising messages create.
These principles of not annoying followers apply to other advertising mediums too, right? Is it just easier to track social media unfollows?
It is easier to track social media unfollowing because the responses are measurable, but perhaps the problem expands beyond social media to other advertising channels that are not readily measurable.
What did you find most surprising about the study's findings?
Certainly, the tradeoff between unfollowing and short-term and long-term sales was interesting and surprising, but the finding that traffic peak hours and the population density of the city have an important effect on accentuating the negative effects of social media advertising is to me the most surprising.
What can marketers take away from this, big picture?
The first takeaway is that firms should be careful not to overwhelm their consumers with too many advertising messages. And they should be able to calculate the optimal frequency of their advertising messages to optimize the trade-off between short-term sales due to advertising messages and the long-term negative effects due to the unfollowing of consumers. Particularly, since our results are staggering in this regard. Second, our study identified additional parameters that firms need to consider in their calculations, specifically the timing during the day and the population density of the city that also need to be included in these calculations.